
Wednesday, 2 October 2013

Teaching versus Learning


It's quite cool to be surrounded by tutors and lecturers in this small community of financial bloggers.

Today, I will attempt to do an eggs-on-my-face post on something way out of my league -  talk a about pedagogy.

I know. What the fish is this big word?

I've never heard or seen this word until I started my ex-company's course on how to be a facilitator some years back.

In Scandinavia, this "pedagogy" word is used very often in trainings and courses. I've told my facilitators and fellow students that we seldom use this word in the English language - it's a bit surreal as English is my first language while it's 2nd language to the Scandinavians!?

So there you go! In Europe, with the exception of UK, we Singaporeans can out England the other Europeans; just as long we tone down the Singlish. LOL!

Stand tall. Be confident!

Teach or Learn?

We all have been in roles as teacher, facilitator, coach, mentor, senior, parent, etc.

Whenever someone ask us a question, the way we answer or choose not to answer will reflect our level of understanding on Pedagogy - either consciously or unconsciously.

Sooner or later you will encounter this dilemma - should I focus on teaching; or should I focus on helping the one asking learn themselves?


What's the difference?

Can you recall or notice you mastering a skill all by yourself?
Some of us can play the piano or guitar completely by self-taught.

Others can pick-up a new language without attending any courses.

How about learning to swim, roller-blade or bicycle yourself?

I've even heard of lawyers passing the LLB and Bar exams without attending formal lessons!

No? Try harder. There must be something you pick up without someone "formally" teaching you.

As for teaching, it's a lot easier. Most Singaporeans are used to attending school or courses. We are a very "upgrading" focused society. There's now even courses for hawkers!? 

It's all very Confucius top down for your own good standard package thing. This is the recommended syllabus and everyone should practice marching the same way.

To get a diploma, we need to be taught how to "score" in the exams. 

To trade equities ourselves, we need to take and pass this stupid on-line test. Self-learning or standard teaching module? Forced teaching to cover back-side or encouraging investors to protect themselves on "buyer beware"?

If we can't keep up to the "standard" teaching pace, we will be streamed into various nice cookie-cutter sub-groups - elite fast learners, minority slow learners, majority average learners, special needs, etc.

It's practiced even in adult working life. 

The last company sponsored course you attended, was it something you volunteered or were you "arrowed" by your boss to attend? 

Those courses you had an interest and those that you were "forced" to attend, it's the same teaching method employed, but did you notice the difference in "learning"?  


Practical show me the money!

Scrutinise Investment Seminars 

If the purpose is to get a diploma after attending Investment Seminars, I think the majority will do well.

But if that's not the goal, the level of satisfaction may depend on whether you believe entrepreneurship or creativity can be taught. 

Note: Not to be confused with trainings where you were given tools to solve your own problems - that's self-learning kind of pedagogy not very common in Singapore.

I don't know

This is more for us when we are in the position of "teaching" or giving advice to others. 

When we see ourselves as a hammer, all other people will look like nails.

Frustration creeps in when we find screws (some standard; some Phillip heads some more!) , nuts and bolts, rivets, thumb tacks,  etc. Of course we can try hammering harder...

Sometimes it's not that the student or recipient that is stupid.

Our education system

Parents feel their child need tuition. Minister feels students don't need tuition. Big hoo-hah!

But no one asked the child and student whether he/she wants to have tuition...

As a child, we don't have much "choice". So I shall pass on this one. It depends a lot on how enlightened our parents are.

But as adults, when we know we are fishes, why do we continue to put ourselves in a place where the plans and goals are how fast and how high we can climb trees...

Let's not blame the system or others.

Take ownership. Or do you consider yourself an adult?

Perhaps move to another environment that values the ability to stay underwater and swim fast?

If the mountain don't move; we move.

It's not like we are vegetables - stuck in the ground.

____________
Entry 1:
{
  "formula": "C40H62BrClFNO14S8",
  "method": "wB97M-V/def2-TZVPD",
  "symbols": ["C", "C", "Br", "C", "C", "C", "C", "Cl", "C", "C", "C", "S", "C", "C", "F", "C", "C", "C", "S", "O", "O", "C", "C", "N", "H", "H", "H", "H", "H", "H", "H", "H", "H", "H", "H", "H", "H", "H", "C", "C", "C", "S", "O", "O", "C", "H", "H", "H", "H", "H", "H", "H", "H", "C", "C", "C", "S", "O", "O", "C", "H", "H", "H", "H", "H", "H", "H", "H", "C", "C", "C", "S", "O", "O", "C", "H", "H", "H", "H", "H", "H", "H", "H", "C", "C", "C", "S", "O", "O", "C", "H", "H", "H", "H", "H", "H", "H", "H", "C", "C", "C", "S", "O", "O", "C", "H", "H", "H", "H", "H", "H", "H", "H", "C", "C", "C", "S", "O", "O", "C", "H", "H", "H", "H", "H", "H", "H", "H"],
____________
[Back to the piece]




  1. Hi SMOL,

    Have you read Meno? If you believe in that, then learning should be placed ahead of teaching.

    I guess most tutors/coaches/trainers are there to facilitate self-learning. If you are motivated enough, you can learn anything by yourself these days. Might take more time though, unless you're much more self-aware than the average person.

    This courses/training are especially useful for scoring in standardised tests (drilling). Not a fan of them, but it's just too bad that these scores are used as signals as to how "smart" and "disciplined" we are.

    On the other hand, I am of the view that courses to teach creativity and entrepreneurship are a waste of time. Steve Wozniack and Mark Zuckerberg are just some examples that you don't need to have a teacher or even work in groups to create world-changing products and concepts.

    1. 15 HWW,

      No, I've not read Meno. I not so well read.

      I learn from observation, experience, and reflection.

      I guess the angst and frustration from teachers/tutors nowadays stems mainly from parents and MOE wanting to see concrete results fast - hence KPIs (or goal settings).

      Learning is messy (no one learns at the same pace or in the same learning style).

      Teaching is more clean cut and measurable. How many % pass, or how many % scored As, etc.

      I can recall the teachers of my time in the 70s and 80s. Without too much emphasis on KPIs, they can spend some time with "non-performers" like me who don't quite fit in the academic route.

      As a tutor, would you prefer to tutor an A star student? Or would you tutor a child that has shown clearly no aptitude for the subject?

      For me, I would choose the A star student. It's a lot less vomit blood. LOL!

    2. Hi SMOL,

      I wouldn't agree that "teaching is more clean cut and measurable". Maybe, it's just that the assessment part that is (KPIs).

      Afterall, you can't determine how much of the improvement/success is due to teaching or the students' hard work.

      All else equal, it would be more interesting to tutor an A star student. Not because it's easier or what (sometimes parents have unreasonable benchmarks) but these students tend to be more motivated and curious which makes lessons much more fun.

    3. 15 HWW,

      1. Yes, I meant the assessment part on teaching being more clean cut. For learning, how do we tell what % comes from teaching, and what % comes from self-learning?

      2. A star student is more likely to be the same "animal" as the teacher/tutor.

      To find out which "animal" is the "slow" student, we may need super human patience and love from the teacher.

      These super teachers are not educators - they are angels!

      Angels can only spread their wings if they are not bound by bureaucracy and obtuse parents who don't even recognise their own child.

  2. We need facilitators when training are conducted via lots of video teaching and small group breakout discussion and presentations because such training courses are too cheem for trainers do them.

    1. CW,

      You made me laugh so much!!!

      We've been through a lot of "crap" I guess :)

      I threw out "what I am supposed to do manual" - the train the trainer stuffs - after my first time facilitation of a course.

      From then on, I told HR: "You can get someone else, or let me do it my way."

  3. Who says i only have an average IQ and i can't keep on learning to the best of my ability in whatever i want to learn.

    Especially about the stock markets even if you are a Nobel prize winner, you are not guaranteed to make money. Remember LTCM and many eminent, brilliant people in the past.

    There is hope for everyone who wants something.
    It's only how much you want it.
    if you want it bad enough, you will make it happens.
    By hook or by crook. HA! HA1

  4. 山不转水转/那英

    1. temperament,

      You have 20 years of experience in the markets; and is in the money overall. You know yourself well ;)

      The market is a great equaliser.

      It does not care who you are, what papers you have, who you know (although insider info is great; but it's not legal), who your parents are, and what schools you came from.

      It's one of the most meritocratic activity we can do.

      Like wandering alone to the desert to seek answers, if we survive, we will return with new understanding of ourselves.

      Can you teach your 20 plus years of experience to your son?

      Can I learn from Warren Buffet if I intern for him for a year?

      What if I am a monkey and Warren is a fish???

    2. When you are not teaching, you are learning.

      When you are not learning, you are sleeping.


    3. CW,

      That's why when asked a question, it can be best to ask in return: "What do you think?"

      We are helping the questioner to answer his own question; and if he is good, we can learn something as well!


      What do you think?

  5. Replies
    1. one big misconception though, if one learn, the other has to teach, so there is no such thing as self taught.

      "self teaching" people are a bunch of creative idiots. like me, once you acquired them, you want to express it, like an artist performing (with or without audients). ask a singer what did he learn? he will answer "i just sing and sing".

      its the same as in trading, too bad for me, i can only do it in the market place.

    2. for example, when i first pick up my cue playing billiard, i was not trying to learn to be a billiard player. i look at steve davis (once a top player), and say hey i want to be like him and i can do it!

      so everyday i dream about billiard and i express that fantacy on the billiard table, "just like steve". ofcos the truth is far away. but that dream just keep on going and going and i keep on playing and playing (ya that words is playing and not learning) until one day i found another fantacy to replace it haha.

    3. its the same as in trading, you want to "imitate" someone or something that you too can do it. it got to be fun in order to have any chance of succeed.

      so you can immagin the amount of trading i made everyday! its only limited by the capital that i have. actually there is no limit if there is no capital involved..

    4. coconut,

      If we can pick up a skill or craft just by listening or watching, that means we already have a natural born attribute in us.

      People who can tell musical tones easily can play back a melody they heard one without the need to know or learn the musical score.

      Those with photographic memory will do well in mahjong beside being a great human encyclopedia! LOL!

      Those with natural abilities in math can read Fibonacci ratios and probabilities better than average trader looking at price action. Can better spot arbitrage opportunities too; but nowadays that's replaced by algos..

      Like playing billiard for you, you are in your element - fish in water.

      The trick is to discover who we are (Mind) so we can find our element to thrive in.

      If I am a monkey, I think it's better I live and work around trees!

      And if I want to imitate others, I'll have a better chance of success by "monkey see monkey do" another primate.

      I can attend as many "If you think you can seminars"; but I don't think I can fly like the eagle...

      Some people flop in equities but they make a ton in properties! And vice versa.

      Some don't do well in investments; but they do very well in their chosen career or in their own businesses.

    5. why you want to imitate that one particular person?

      becos you think and believe and try it yourself that what that person do is fun! you will be thinking, to have fun playing billiards and someone pays you to do it, wow!

      but! if there is no pay? i still have fun doing it!

      thats the attitude you must have to succeed in trading.

    6. i think many people had underscore the difficulties in trading, most are lurk by making money in the game.

      so easy?

      without any element that i mentioned, i don't see there is a chance at all! you better know what you are doing period!

      ofcos there are those who attitude is "my money or your money?".

    7. coconut,

      We start with imitating and learning from others; then in due time, we will find our own "voice" to become our own 一代宗師 (grandmaster).

    8. i had a call from a old friend/kaki of mine and we recently played a few round of snooker. when we were young, we were all looking out for suckers to play. he is a good player. sometimes we crash each other!

      these days he say he only play for fun which i believe him, who wants to "donate" money to him anymore? he is permenatly ban haha.

      well, 2 ocaasion and i have yet to win him a single set! not one set! ofcos loser pay the table money and a treat thats it haha.

      his passion is still burning high.

    9. so in conclusion, teaching and learning, yes, learning too, does not make trading any easier, trust me!

    10. i forgot to mentioned this friend of mine is 3 years older than me but when we were young, i think i'm a better player than he was. at least i'm not afraid of him at all.

      he told me he never quit playing and he always still hang around in billiard saloon after work, wow! so many years! he told me nowadays he enjoy watching as much as playing.

      ofcos what, what else can he do haha.
